Tag: cheating behaviors

  • 15 Red Flags That Reveal Monkey Branching

    15 Red Flags That Reveal Monkey Branching

    Here are the key behavioral signs of a monkey brancher. Understanding and recognizing patterns blocking emotional health and connection is crucial in any romantic relationship. Among these patterns is a concept known as Monkey Branching. Often heard in discussions about relationship challenges, this term vividly describes a situation many find themselves in, sometimes without even realizing it.…

  • 10 Relationship Issues That Lead to Cheating

    10 Relationship Issues That Lead to Cheating

    These behaviors can lead you to heartbreak. Cheating in relationships is a complex and often painful issue that many couples face. While the act of cheating is a personal decision and responsibility, certain relationship dynamics can create an environment where infidelity is more likely to occur. That doesn’t excuse this inexcusable behavior.  Also, it’s worth…

  • 10 Ways to Spot an Undercover Cheater 

    10 Ways to Spot an Undercover Cheater 

    Here’s what to look for if you think your partner’s cheating. Do you think your partner is a cheater? Cheating is never okay. However, it’s also worthwhile that the behaviors that cause someone to cheat may reveal other psychological or behavioral issues besides cheating.  Trust in a relationship is like assessing the foundation of a…

  • How to Prevent Being Cheated on by a Woman

    How to Prevent Being Cheated on by a Woman

    Infidelity, or being cheated on, is a painful and destructive problem that can occur in any romantic relationship. Unfortunately, both men and women can be unfaithful. Indeed, women do not get the support they need in these situations. But this issue seems to be more pressing when it comes to men. Sometimes, society does not…

  • 10 Signs of Emotional Infidelity to Never Ignore

    10 Signs of Emotional Infidelity to Never Ignore

    Emotional infidelity is when a person in a committed relationship becomes emotionally involved with someone else. In today’s society, this often happens through online communication or social media. Unlike physical infidelity, emotional infidelity does not involve sexual contact, but that doesn’t mean it’s moral to do it. This type of infidelity can be just as…

[Between two parts of the page: calculated crystals]
........
A plane-wave DFT calculation with PBE was carried out for a geometry-optimized Na2InGaP2SO12 structure.

Cell lengths 8.8229, 8.8286, 22.4735 Å; angles 90.53, 89.48, 120.08 degrees
Last column: nearest neighbours and their distance in Å.
Fractional coordinates of all 114 atoms:
Na1 0.9969 0.6346 0.2542  5 O 2.38-2.57
Na2 0.3694 0.0069 0.7506  5 O 2.37-2.54
Na3 0.6630 0.9599 0.5866  5 O 2.38-2.51
Na4 0.0375 0.3365 0.0874  5 O 2.36-2.51
Na5 0.3272 0.2992 0.9196  5 O 2.37-2.56
Na6 0.6989 0.6711 0.4193  5 O 2.39-2.59
Na7 0.0255 0.9996 0.4994  5 O 2.42-2.66
Na8 0.0042 0.9776 0.0011  6 O 2.44-2.71
Na9 0.6908 0.3303 0.8316  5 O 2.39-2.65
Na10 0.6659 0.3103 0.3346  6 O 2.43-2.65
Na11 0.3558 0.6647 0.1710  6 O 2.40-2.66
Na12 0.3347 0.6452 0.6651  5 O 2.35-2.59
In1 0.9974 0.0064 0.8466  6 O 2.07-2.20
In2 0.0010 0.9990 0.1544  6 O 2.10-2.22
In3 0.6675 0.3305 0.9833  6 O 2.08-2.23
In4 0.3283 0.6713 0.0200  6 O 2.07-2.22
In5 0.3304 0.6718 0.5163  6 O 2.08-2.23
In6 0.3356 0.6650 0.8118  6 O 2.08-2.26
Ga1 0.9845 0.9975 0.3486  6 O 1.92-2.12
Ga2 0.0033 0.9983 0.6467  5 O 1.93-2.05
Ga3 0.6555 0.3323 0.6816  6 O 1.90-2.08
Ga4 0.6670 0.3479 0.1867  5 O 1.91-2.11
Ga5 0.6671 0.3315 0.4825  6 O 1.95-2.18
Ga6 0.3332 0.6666 0.3193  6 O 1.96-2.10
P1 0.6933 0.7001 0.2534  4 O 1.53-1.57
P2 0.0005 0.3003 0.2514  4 O 1.54-1.57
P3 0.2974 0.2940 0.7455  4 O 1.53-1.56
P4 0.7086 0.0088 0.7426  4 O 1.53-1.57
P5 0.3731 0.0496 0.5838  4 O 1.54-1.56
P6 0.6737 0.6241 0.5822  4 O 1.53-1.57
P7 0.9580 0.6286 0.0878  4 O 1.53-1.56
P8 0.3749 0.3341 0.0852  4 O 1.54-1.56
P9 0.0343 0.3687 0.9173  4 O 1.53-1.56
P10 0.3321 0.9649 0.9134  4 O 1.53-1.56
P11 0.6306 0.9680 0.4166  4 O 1.54-1.56
P12 0.0342 0.6688 0.4139  4 O 1.53-1.57
S1 0.3019 0.0021 0.2536  4 O 1.48-1.49
S2 0.9896 0.6986 0.7454  4 O 1.47-1.49
S3 0.9543 0.3315 0.5839  4 O 1.47-1.50
S4 0.6645 0.0403 0.0882  4 O 1.47-1.49
S5 0.6346 0.6705 0.9169  4 O 1.47-1.48
S6 0.3277 0.3643 0.4154  4 O 1.47-1.50
O1 0.2128 0.0287 0.3051  1 S 1.48
O2 0.8197 0.7835 0.3074  1 P 1.56
O3 0.9758 0.1761 0.3029  1 P 1.54
O4 0.2327 0.1920 0.8051  1 P 1.56
O5 0.9642 0.7702 0.8020  1 S 1.48
O6 0.8070 0.0289 0.8006  1 P 1.53
O7 0.7967 0.9816 0.6867  1 P 1.55
O8 0.1751 0.1901 0.6940  1 P 1.53
O9 0.0173 0.8149 0.6945  1 S 1.48
O10 0.7709 0.8101 0.1972  1 P 1.53
O11 0.0344 0.2345 0.1915  1 P 1.55
O12 0.1946 0.9618 0.1988  1 S 1.49
O13 0.8711 0.3532 0.6379  1 S 1.47
O14 0.4857 0.1262 0.6406  1 P 1.55
O15 0.6538 0.5129 0.6367  1 P 1.53
O16 0.8715 0.5157 0.1443  1 P 1.56
O17 0.6495 0.1330 0.1407  1 S 1.47
O18 0.4876 0.3443 0.1386  1 P 1.54
O19 0.4446 0.3123 0.0243  1 P 1.55
O20 0.8580 0.5432 0.0306  1 P 1.53
O21 0.6877 0.1351 0.0319  1 S 1.48
O22 0.4650 0.1617 0.5285  1 P 1.54
O23 0.6955 0.5433 0.5230  1 P 1.56
O24 0.8484 0.3055 0.5297  1 S 1.49
O25 0.5534 0.6902 0.9718  1 S 1.47
O26 0.1400 0.4441 0.9757  1 P 1.56
O27 0.3195 0.8614 0.9692  1 P 1.53
O28 0.5676 0.8559 0.4744  1 P 1.56
O29 0.2951 0.4350 0.4710  1 S 1.48
O30 0.1427 0.6998 0.4701  1 P 1.53
........
[Back to the page]

  • 5 Behaviors That Reveal a Cheating Husband

    5 Behaviors That Reveal a Cheating Husband

    Women know just how much damage a cheating husband causes. And it’s bad enough when it’s just a boyfriend you’ve been dating for a couple of months who cheats on you. But when you’ve got a cheating husband, that’s much worse. And when the family is involved, especially kids, things get messy and traumatic. But…